# Wanted
Next, repeat the whole of the entries below without additions.

# Data
____________
Starting from a cell relaxed with GGA-PBE, the XRD peak list of CaThZn4 was simulated for Cu Kα, 1.54184 Å.

Top 10 peaks for 10° ≤ 2θ ≤ 80°, low angle first:
11.73°, I 48; 21.77°, I 24; 27.52°, I 44; 32.13°, I 100; 36.56°, I 61; 42.65°, I 41; 47.32°, I 30; 57.40°, I 33; 65.58°, I 22; 71.46°, I 19

Cell and atoms:
```
CaThZn4
1.0
-2.120 2.120 7.542
2.120 -2.120 7.542
2.120 2.120 -7.542
Ca Th Zn
1 1 4
Cartesian
0.000 0.000 0.000
0.000 2.120 3.771
2.120 0.000 2.533
2.120 0.000 5.009
0.000 0.000 6.286
0.000 0.000 8.798
```



Starting from a cell relaxed with GGA-PBE, the XRD peak list of Ca2ThZn6 was simulated for Cu Kα, 1.54184 Å.

Top 10 peaks for 10° ≤ 2θ ≤ 80°, low angle first:
12.92°, I 52; 26.01°, I 12; 28.14°, I 20; 33.78°, I 100; 34.63°, I 11; 39.45°, I 65; 43.12°, I 12; 52.89°, I 31; 66.38°, I 26; 67.94°, I 25

Cell and atoms:
```
Ca2ThZn6
1.0
7.912 0.000 0.000
-3.956 6.852 0.000
0.000 0.000 3.578
Ca Th Zn
2 1 6
Cartesian
0.000 4.568 0.000
3.956 2.284 0.000
0.000 0.000 0.000
-1.328 2.300 1.789
-2.628 4.552 1.789
2.656 0.000 1.789
1.328 2.300 1.789
5.257 0.000 1.789
2.628 4.552 1.789
```



Starting from a cell relaxed with GGA-PBE, the XRD peak list of Ca4Ti was simulated for Cu Kα, 1.54184 Å.

Top 10 peaks for 10° ≤ 2θ ≤ 80°, low angle first:
14.90°, I 28; 21.14°, I 24; 25.96°, I 63; 30.07°, I 100; 33.72°, I 14; 43.04°, I 69; 50.95°, I 25; 53.39°, I 23; 70.90°, I 27; 78.90°, I 19

Cell and atoms:
```
Ca4Ti
1.0
5.944 0.000 0.000
0.000 5.944 0.000
0.000 0.000 5.944
Ca Ti
4 1
Cartesian
0.000 0.000 0.000
0.000 2.972 2.972
2.972 0.000 2.972
2.972 2.972 0.000
2.972 2.972 2.972
```
____________

# Response
Starting from a cell relaxed with GGA-PBE, the XRD peak list of CaThZn4 was simulated for Cu Kα, 1.54184 Å.

Top 10 peaks for 10° ≤ 2θ ≤ 80°, low angle first:
11.73°, I 48; 21.77°, I 24; 27.52°, I 44; 32.13°, I 100; 36.56°, I 61; 42.65°, I 41; 47.32°, I 30; 57.40°, I 33; 65.58°, I 22; 71.46°, I 19

Cell and atoms:
```
CaThZn4
1.0
-2.120 2.120 7.542
2.120 -2.120 7.542
2.120 2.120 -7.542
Ca Th Zn
1 1 4
Cartesian
0.000 0.000 0.000
0.000 2.120 3.771
2.120 0.000 2.533
2.120 0.000 5.009
0.000 0.000 6.286
0.000 0.000 8.798
```



Starting from a cell relaxed with GGA-PBE, the XRD peak list of Ca2ThZn6 was simulated for Cu Kα, 1.54184 Å.

Top 10 peaks for 10° ≤ 2θ ≤ 80°, low angle first:
12.92°, I 52; 26.01°, I 12; 28.14°, I 20; 33.78°, I 100; 34.63°, I 11; 39.45°, I 65; 43.12°, I 12; 52.89°, I 31; 66.38°, I 26; 67.94°, I 25

Cell and atoms:
```
Ca2ThZn6
1.0
7.912 0.000 0.000
-3.956 6.852 0.000
0.000 0.000 3.578
Ca Th Zn
2 1 6
Cartesian
0.000 4.568 0.000
3.956 2.284 0.000
0.000 0.000 0.000
-1.328 2.300 1.789
-2.628 4.552 1.789
2.656 0.000 1.789
1.328 2.300 1.789
5.257 0.000 1.789
2.628 4.552 1.789
```



Starting from a cell relaxed with GGA-PBE, the XRD peak list of Ca4Ti was simulated for Cu Kα, 1.54184 Å.

Top 10 peaks for 10° ≤ 2θ ≤ 80°, low angle first:
14.90°, I 28; 21.14°, I 24; 25.96°, I 63; 30.07°, I 100; 33.72°, I 14; 43.04°, I 69; 50.95°, I 25; 53.39°, I 23; 70.90°, I 27; 78.90°, I 19

Cell and atoms:
```
Ca4Ti
1.0
5.944 0.000 0.000
0.000 5.944 0.000
0.000 0.000 5.944
Ca Ti
4 1
Cartesian
0.000 0.000 0.000
0.000 2.972 2.972
2.972 0.000 2.972
2.972 2.972 0.000
2.972 2.972 2.972
```